September 15, 2019 - Missionaries in the New York Syracuse Mission gathered to be taught by the servants of the Lord...

This was the first mission wide gathering of the New York Syracuse Mission (remember we merged the Utica & Rochester Missions to form the Syracuse Mission on July 1, 2019). What a wonderful spiritual feast for each of. What a privilege and blessing. Let me share just a few nuggets:
Elder Gay told us:
The Book of Mormon is an instrument to bring people unto Christ. Conversion begins with feelings before knowledge. We have to be a witness of the power of Jesus Christ. We stand for the Savior.
Elder Johnson shared some words of advice - 5 things that we should do as missionaries:
1. Remember who you are.
2. Exact obedience is key as we become instruments in the hand of God.
3. Remember your purpose as a missionary: you are to find, teach repentance & baptize.
4. Use the Book of Mormon in all you do.
5. Don't waste your time.
Elder Christofferson spent most of his time doing Questions and Answers:
Question: How do you receive personal revelation?
Answer: President Nelson addressed the importance of personal revelation after been sustained as the prophet in his first talk in April 2018 General Conference - "In coming days, it will not be possible to survive spiritually without the guiding, directing, comforting, and constant influence of the Holy Ghost."
Elder Christofferson continued, There is no single way to receive personal revelation. He then listed four ways to consider:
1. Doctrine & Covenants 9:8 - "But, behold, I say unto you, that you must study it out in your mind; then you must ask me if it be right, and if it is right I will cause that your bosom shall burn within you; therefore, you shall feel that it is right."
Study it out in your mind, ask the Lord. When you get an answer, ask if there is anything more that you should know or understand. Many times there will be - write it down. This shows your interest and the Lord may give you even more.
2. Studying the scriptures. As you study you will be in a condition for the Lord to speak to you. That is one reason we study the scriptures, to receive inspiration and revelation.
3. Prayer. Praying creates situations when you can take time. The Lord will sometimes tell you what to ask. This process prompts where the prayer takes you and helps you to pray by the spirit. And allows the Lord to give you even more.
4. Service. When you are serving, he can prompt you.
Elder Gay added to this question about revelation:
Elder Gay is responsible for sending out Missionary Surveys which include a question about what concerns the missionary the most - the answer that comes up most often is: How do we recognize personal revelation? Elder Gay's answer:
You can recognize promptings by their fruits - what happens if you follow a certain prompting? Is this inspiration or just a good idea? It doesn't matter, just do it!
Elder Clay added:
Keep a 3x5 card in your pocket. Write down every time you are inspired during the day. Review the card at the end of the day. You will be able to better recognize inspiration as you acknowledge what you are already receiving each day.
Elder Christofferson closed:
I bear witness that you are called by the authority of Jesus Christ to teach and to testify, just as the Apostles. You are engaged in an Apostolic work under Apostolic keys. I am a witness of your callings.
The Savior's capacity to save and to redeem is infinite. You are standing at the door with the Kingdom of Heaven in your hands. You have the power to give it to the people.
Jesus Christ is resurrected. His resurrection is the proof of everything else he taught. The resurrection is the seal.
In less than 3 weeks we will have the opportunity to listen to our prophets and apostles in General Conference. As you take the time to carefully watch, I promise you that you will receive answers to your prayers and peace and comfort in your hearts. You will be inspired to move forward in your lives and you and your families will be richly blessed as you watch conference and heed the words of those chosen by God to lead His church.

**These molecular data were left in the text by mistake**
-- begin --
one) ORCA calculation (ωB97M-V/def2-TZVPD) on C3H5N2 as an isolated structure.

Summary:
Total charge: +1
HOMO level (spin up / spin down) in eV: -15.674 / -15.496
Kohn-Sham gap (spin up / spin down) in eV: 10.4 / 8.8
Molecular weight in g/mol: 69.087
Spin multiplicity: 1

Each line ends with the Löwdin charge.
Element x y z (Å)
C1 -1.095 -1.094 0.803  -0.018
C2 0.115 -0.834 -0.039  -0.100
C3 0.091 0.438 0.761  -0.209
N1 -1.055 0.023 1.462  0.146
N2 -0.124 0.499 -0.676  0.165
H1 -1.950 -1.882 0.688  0.179
H2 0.901 -1.331 -0.632  0.164
H3 2.007 1.505 1.579  0.247
H4 0.726 0.727 -1.254  0.206
H5 -1.138 0.753 -0.895  0.220

***

two) ORCA calculation (ωB97M-V/def2-TZVPD) on a 2-piece molecular cluster, C3H5N2 overall.

Summary:
Total charge: +1
HOMO level in eV: -14.299
Kohn-Sham gap in eV: 8.2
Molecular weight in g/mol: 69.087
Spin multiplicity: 1

Each line ends with the Löwdin charge.
Element x y z (Å)
C1 -1.903 0.064 0.009  -0.004
C2 0.352 0.585 -0.034  -0.107
C3 0.181 -0.863 0.030  0.013
N1 -1.088 -1.114 -0.002  0.102
N2 -1.079 1.064 -0.040  0.056
H1 0.541 0.974 0.937  0.146
H2 1.083 1.108 -0.640  0.150
H3 1.458 -1.562 -0.299  0.318
H4 -1.450 -2.016 0.275  0.169
H5 -1.184 2.020 0.248  0.157

***

Short version: two) is the most stable of them.

***

one) ORCA calculation (ωB97M-V/def2-TZVPD) on an isolated ion of composition C3H5N2 and charge +1.

Summary:
Total charge: +1
HOMO level in eV: -15.654
Kohn-Sham gap in eV: 10.5
Molecular weight in g/mol: 69.087
Spin multiplicity: 1

Each line ends with the Löwdin charge.
Element x y z (Å)
C1 -0.192 1.665 0.287  0.066
C2 0.557 0.616 0.347  -0.163
N1 0.706 -0.429 -0.695  0.113
C3 -0.055 -1.465 -0.490  -0.057
N2 -0.613 -2.303 0.133  0.361
H1 -0.353 2.490 1.066  0.122
H2 -0.745 1.931 -0.666  0.107
H3 1.169 0.244 1.179  0.133
H4 1.024 -0.057 -1.569  0.169
H5 -1.497 -2.692 0.409  0.148

***

two) ORCA calculation (ωB97M-V/def2-TZVPD) on C3H5N2 as an isolated structure.

Summary:
Total charge: +1
HOMO level in eV: -15.736
Kohn-Sham gap in eV: 11.0
Molecular weight in g/mol: 69.087
Spin multiplicity: 1

Each line ends with the Löwdin charge.
Element x y z (Å)
C1 -0.855 -0.844 -0.612  -0.019
C2 0.156 0.247 -0.714  -0.090
C3 0.764 -0.477 0.467  -0.090
N1 -0.346 -1.421 0.427  0.151
N2 0.013 0.787 0.617  0.172
H1 -1.694 -1.187 -1.169  0.131
H2 0.307 0.767 -1.691  0.187
H3 1.783 -0.448 0.925  0.192
H4 0.639 1.558 0.544  0.169
H5 -0.767 1.017 1.206  0.197

***

three) ORCA calculation (ωB97M-V/def2-TZVPD) on C3H5N2 as an isolated structure.

Summary:
Total charge: +1
HOMO level in eV: -16.238
Kohn-Sham gap in eV: 10.1
Molecular weight in g/mol: 69.087
Spin multiplicity: 1

Each line ends with the Löwdin charge.
Element x y z (Å)
C1 -0.397 0.663 -0.398  -0.113
C2 -1.571 0.054 0.149  -0.015
C3 1.082 -0.638 -0.028  0.043
N1 -0.573 -0.743 -0.467  0.140
N2 0.877 0.773 -0.058  0.116
H1 -1.549 0.363 1.288  0.181
H2 -2.553 0.187 -0.315  0.144
H3 1.305 -0.952 1.056  0.172
H4 1.775 -1.069 -0.823  0.164
-- stop --

On our way to conference in Syracuse, we drive through Mexico, NY. So, I play the Mexican Hat Dance. So, we got Sisters Wiese and Penrod to reprise a previous version performed by Sisters Black & White!

Our new found baby turtles first swim (Tom put in a little worm type thing to see if the turtle would eat it - the turtle totally ignored it.)

[Calculated molecules, as found in the file]
┌──
Record 1
Formula: C5H6O2
Source: OMol25
Level of theory: ωB97M-V with the def2-TZVPD basis set

## Properties
Energy, eV: -9373.756
Net charge: 0
Energy relative to the best compared isomer or geometry (same formula, charge and spin), kJ/mol: 322.24
M, g/mol: 98.1
Multiplicity: 1
E_LUMO, eV: -0.7

Each line ends with the Mulliken charge.
CARTESIAN COORDINATES (ANGSTROEM)
C  -1.73  -0.02  -0.25  -1.165
C  -0.53  -0.14  0.71  0.399
O  0.35  -1.23  0.28  -0.368
C  1.58  -0.69  0.08  0.491
O  2.61  -1.28  0.19  -0.528
C  1.33  0.76  -0.26  -0.292
C  0.23  1.15  0.66  -0.433
H  -2.38  -0.89  -0.12  0.313
H  -2.32  0.90  -0.12  0.362
H  -1.36  -0.04  -1.29  0.315
H  -0.86  -0.42  1.72  0.333
H  2.21  1.37  -0.47  0.380
H  0.71  0.71  -1.19  0.193

Record 2
Formula: C3H10N2O
Source: OMol25
Level of theory: ωB97M-V with the def2-TZVPD basis set

## Properties
Energy, eV: -8299.983
Net charge: 0
SMILES: NCC(O)CN
Energy relative to the best compared isomer or geometry (same formula, charge and spin), kJ/mol: 146.72
M, g/mol: 90.1
Multiplicity: 1
E_LUMO, eV: 1.0

Each line ends with the Mulliken charge.
CARTESIAN COORDINATES (ANGSTROEM)
N  0.58  1.05  1.72  -0.558
C  0.16  1.27  0.29  -0.639
C  0.33  0.02  -0.62  0.232
O  0.45  0.34  -1.98  -0.544
C  -0.78  -1.05  -0.40  -0.971
N  -0.75  -1.73  0.85  -0.546
H  0.69  2.00  2.21  0.253
H  1.56  0.61  1.74  0.236
H  -0.91  1.57  0.29  0.278
H  0.70  2.10  -0.23  0.318
H  1.24  -0.47  -0.29  0.294
H  -0.48  0.47  -2.26  0.353
H  -1.80  -0.54  -0.60  0.377
H  -0.75  -1.76  -1.22  0.358
H  -1.05  -1.13  1.70  0.304
H  0.15  -2.13  0.94  0.256

Record 3
Formula: C2H3NO2
Source: OMol25
Level of theory: ωB97M-V with the def2-TZVPD basis set

## Properties
Energy, eV: -7707.168
Net charge: 0
SMILES: NC(=O)C=O
Energy relative to the best compared isomer or geometry (same formula, charge and spin), kJ/mol: 65.17
M, g/mol: 73.1
Multiplicity: 1
E_LUMO, eV: 0.1

Each line ends with the Mulliken charge.
CARTESIAN COORDINATES (ANGSTROEM)
N  -0.02  -0.44  -0.81  -0.379
C  0.57  0.51  -0.15  0.413
O  1.27  1.39  -0.55  -0.557
C  0.31  0.43  1.43  0.107
O  -0.53  -0.28  1.95  -0.496
H  -0.86  -0.92  -0.42  0.270
H  0.15  -0.40  -1.82  0.252
H  0.95  1.18  1.77  0.391

Repeat the third record exactly.
Formula: C2H3NO2
Source: OMol25
Level of theory: ωB97M-V with the def2-TZVPD basis set

## Properties
Energy, eV: -7707.168
Net charge: 0
SMILES: NC(=O)C=O
Energy relative to the best compared isomer or geometry (same formula, charge and spin), kJ/mol: 65.17
M, g/mol: 73.1
Multiplicity: 1
E_LUMO, eV: 0.1

Each line ends with the Mulliken charge.
CARTESIAN COORDINATES (ANGSTROEM)
N  -0.02  -0.44  -0.81  -0.379
C  0.57  0.51  -0.15  0.413
O  1.27  1.39  -0.55  -0.557
C  0.31  0.43  1.43  0.107
O  -0.53  -0.28  1.95  -0.496
H  -0.86  -0.92  -0.42  0.270
H  0.15  -0.40  -1.82  0.252
H  0.95  1.18  1.77  0.391

----------

DFT (ωB97M-V/def2-TZVPD) results for a molecular structure, C24H25BIrN9O3.

XYZ file:
```
63
└──

We pray for peace and comfort for all those that mourn the loss of Reggie. We say good bye to our dear friend, Reggie - but just for now. We will meet again. Our Savior, Jesus Christ, died for us. He was resurrected on the third day and each and everyone of us will live again. We look forward to a great reunion with Reggie.
Another busy week in paradise! A few of our non-pictured service opportunities this week: We took Everette to Canton to meet with his counselor that handles some benefit programs that he is working on. We had several virtual student visits with our students from BYU PathwayConnect. At Young Women's meeting, Broderick offered to give all the girls back to school was very sweet and appreciated by the girls. We had our Virtual Orientation meeting with our BYU PathwayConnect group - it was awesome, we're going to have a great year with them. There were more piano lessons for 2 of the branch children. And we drove to the Malone Branch (about 50 minutes away) and did a BYU PathwayConnect presentation to the Young Men and Women of the Branch as well as a few interested adults. What a great additional opportunity for our youth to consider as they decide what they are going to do after high school.